# Data
/*
{
  "formula": "C52H143N13O13",
  "method": "the ωB97M-V functional and the def2-TZVPD basis",
  "species": ["O", "O", "O", "O", "O", "O", "O", "O", "O", "O", "O", "O", "O", "N", "N", "N", "N", "N", "N", "N", "N", "N", "N", "N", "N", "N", "C", "C", "C", "C", "C", "C", "C", "C", "C", "C", "C", "C", "C", "C", "C", "C", "C", "C", "C", "C", "C", "C", "C", "C", "C", "C", "C", "C", "C", "C", "C", "C", "C", "C", "C", "C", "C", "C", "C", "C", "C", "C", "C", "C", "C", "C", "C", "C", "C", "C", "C", "C", "H", "H", "H", "H", "H", "H", "H", "H", "H", "H", "H", "H", "H", "H", "H", "H", "H", "H", "H", "H", "H", "H", "H", "H", "H", "H", "H", "H", "H", "H", "H", "H", "H", "H", "H", "H", "H", "H", "H", "H", "H", "H", "H", "H", "H", "H", "H", "H", "H", "H", "H", "H", "H", "H", "H", "H", "H", "H", "H", "H", "H", "H", "H", "H", "H", "H", "H", "H", "H", "H", "H", "H", "H", "H", "H", "H", "H", "H", "H", "H", "H", "H", "H", "H", "H", "H", "H", "H", "H", "H", "H", "H", "H", "H", "H", "H", "H", "H", "H", "H", "H", "H", "H", "H", "H", "H", "H", "H", "H", "H", "H", "H", "H", "H", "H", "H", "H", "H", "H", "H", "H", "H", "H", "H", "H", "H", "H", "H", "H", "H", "H", "H", "H", "H", "H", "H", "H", "H", "H", "H", "H", "H", "H"],
*/

# Assignment
The reader should filter the lines further up: keep the lines with the word "C52H143N13O13".

# Completed
  "formula": "C52H143N13O13",